Brief:
Please duplicate every line further down that contains the word "Cs".

Material:
+++
# TcPtO

A relaxed TcPtO crystal (PBE-GGA, Alexandria).

a b c (Å): 3.3180 4.0440 7.5842
angles (deg): 90.00 90.00 90.00
Closest atoms and distances in Å follow each position.
Space group Pmmn (No. 59, origin choice 2)
Symmetry-distinct sites (fractional):
Tc: 0.2500 0.2500 0.2435 (multiplicity 2)  2 O 1.87
Pt: 0.2500 0.7500 0.4574 (multiplicity 2)  4 Tc 2.59-2.81, 4 Pt 2.69
O: 0.2500 0.7500 0.8702 (multiplicity 2)  2 Tc 1.87

E_tot (eV/cell): -44.547
Raw formation energy (eV/atom): -0.30
Size of the total moment (μB per atom): 0.00

----------

1.
Ca3Zn8Sn3 GGA-PBE optimized geometry; energy relative to the elements = -0.276 eV per atom; space group = Immm (71)
1.0
-2.209 5.145 6.546
2.209 -5.145 6.546
2.209 5.145 -6.546
Ca Zn Sn
3 8 3
Direct
0.000 0.000 0.000
0.309 0.309 0.000
0.691 0.691 0.000
0.048 0.670 0.378
0.100 0.843 0.257
0.292 0.670 0.622
0.414 0.157 0.257
0.586 0.843 0.743
0.708 0.330 0.378
0.900 0.157 0.743
0.952 0.330 0.622
0.276 0.500 0.776
0.500 0.000 0.500
0.724 0.500 0.224


2.
BeZnTePO GGA-PBE optimized geometry; space group = Pmm2 (25); formation energy (no corrections) = -0.703 eV per atom; distance to the lowest polymorph of the same formula = 0.272 eV per formula unit
1.0
2.917 0.000 0.000
0.000 4.084 0.000
0.000 0.000 7.483
Be Zn Te P O
1 1 1 1 1
Direct
0.000 0.000 0.000
0.500 0.000 0.652
0.000 0.500 0.222
0.000 0.500 0.570
0.500 0.000 0.923


3.
Ca2H5Pd2 GGA-PBE optimized geometry; space group = Imma (74)
1.0
-2.604 7.392 2.610
2.604 -7.392 2.610
2.604 7.392 -2.610
Ca H Pd
4 10 4
Direct
0.129 0.002 0.127
0.375 0.002 0.373
0.625 0.998 0.627
0.871 0.998 0.873
0.105 0.475 0.630
0.253 0.000 0.753
0.253 0.500 0.253
0.345 0.475 0.870
0.500 0.000 0.000
0.500 0.500 0.500
0.655 0.525 0.130
0.747 0.000 0.247
0.747 0.500 0.747
0.895 0.525 0.370
0.000 0.500 0.500
0.243 0.493 0.750
0.500 0.500 0.000
0.757 0.507 0.250


4.
Ba2SiSeN GGA-PBE optimized geometry; space group = P4/mmm (123); formation energy (no corrections) = -0.833 eV per atom
1.0
5.846 0.000 0.000
0.000 5.846 0.000
0.000 0.000 3.766
Ba Si Se N
2 1 1 1
Direct
0.000 0.500 0.000
0.500 0.000 0.000
0.000 0.000 0.500
0.500 0.500 0.500
0.000 0.000 0.000


5.
In7Hg12Pb2 GGA-PBE optimized geometry; energy relative to the elements = 0.020 eV per atom; space group = P-1 (2)
1.0
6.138 0.000 0.000
1.069 8.726 0.000
0.665 3.772 10.729
In Hg Pb
7 12 2
Direct
0.000 0.000 0.000
0.026 0.592 0.106
0.318 0.920 0.705
0.461 0.246 0.742
0.539 0.754 0.258
0.682 0.080 0.295
0.974 0.408 0.894
0.042 0.771 0.301
0.111 0.215 0.163
0.234 0.007 0.428
0.363 0.369 0.449
0.462 0.837 0.979
0.476 0.548 0.850
0.524 0.452 0.150
0.538 0.163 0.021
0.637 0.631 0.551
0.766 0.993 0.572
0.889 0.785 0.837
0.958 0.229 0.699
0.127 0.625 0.606
0.873 0.375 0.394


6.
BaCrHg2 GGA-PBE optimized geometry; energy relative to the elements = 0.073 eV per atom; space group = P4/mmm (123)
1.0
3.714 0.000 0.000
0.000 3.714 0.000
0.000 0.000 7.819
Ba Cr Hg
1 1 2
Direct
0.000 0.000 0.000
0.000 0.000 0.500
0.500 0.500 0.305
0.500 0.500 0.695


7.
CsCaFe3 GGA-PBE optimized geometry; energy relative to the elements = 2.090 eV per atom; space group = Pm-3m (221); distance to the lowest polymorph of the same formula = 1.523 eV per formula unit
1.0
5.005 0.000 0.000
0.000 5.005 0.000
0.000 0.000 5.005
Cs Ca Fe
1 1 3
Direct
0.000 0.000 0.000
0.500 0.500 0.500
0.000 0.000 0.500
0.000 0.500 0.000
0.500 0.000 0.000


8.
Sr3Sc5F12 GGA-PBE optimized geometry; space group = Ia-3d (230); formation energy (no corrections) = -2.962 eV per atom
1.0
-6.927 6.927 6.927
6.927 -6.927 6.927
6.927 6.927 -6.927
Sr Sc F
12 20 48
Direct
0.125 0.250 0.375
0.125 0.375 0.750
0.250 0.375 0.125
0.250 0.875 0.625
0.375 0.125 0.250
0.375 0.750 0.125
0.625 0.250 0.875
0.625 0.875 0.750
0.750 0.125 0.375
0.750 0.625 0.875
0.875 0.625 0.250
0.875 0.750 0.625
0.000 0.000 0.000
0.000 0.000 0.500
0.000 0.500 0.000
0.000 0.500 0.500
0.125 0.750 0.875
0.125 0.875 0.250
0.250 0.125 0.875
0.250 0.625 0.375
0.375 0.250 0.625
0.375 0.625 0.750
+++

Completed:
Cs Ca Fe